Division of Sport Fish
Dave Rutz, Director

• Calculated molecules that have nothing to do with the entry:
# 1
DFT (the ωB97M-V functional and the def2-TZVPD basis) results for a cluster of 2 separate species, C5H13NO in total in a non-equilibrium geometry.

Last column: natural (NBO) charge in e.
Atoms and positions in Å:
O (4.4464, 2.6333, 1.8502)  -0.931
N (0.4765, -0.9999, 1.3102)  -0.848
C (-1.7956, -0.9006, -1.7214)  -0.164
C (-1.1199, -1.4122, -0.4512)  -0.453
C (-0.9104, 0.9393, 0.5343)  -0.629
C (-0.2021, -0.3644, 0.1968)  -0.043
C (-1.1267, -0.4200, -2.7590)  -0.406
H (-1.1127, 1.5868, -0.3196)  0.222
H (4.3143, 1.7300, 2.1164)  0.465
H (0.9310, -0.3843, 1.9563)  0.364
H (-1.8811, -1.8618, 0.1920)  0.202
H (-1.9168, 0.7916, 0.9469)  0.202
H (-0.3299, 1.4687, 1.2916)  0.207
H (-0.1364, -1.6910, 1.7397)  0.361
H (-2.8609, -1.1041, -1.7921)  0.196
H (-0.5628, -2.3154, -0.7366)  0.223
H (-0.0450, -0.5275, -2.6877)  0.183
H (4.8082, 3.0437, 2.6331)  0.466
H (0.5223, -0.1784, -0.6060)  0.178
H (-1.4985, -0.0337, -3.6940)  0.206

## Properties
HOMO-LUMO gap: 9.9 eV
Total energy: -8932.324 eV
SMILES string: C=CC[C@@H](C)N.O
Energy relative to the best compared isomer or geometry (same formula, charge and spin): 1.687 eV
Net charge: 0

---

# 2
DFT (the ωB97M-V functional and the def2-TZVPD basis) results for an isolated molecule of C5H13NO in a non-equilibrium geometry.

Last column: natural (NBO) charge in e.
Atoms and positions in Å:
O (0.5844, 2.1776, -1.9038)  -0.727
N (0.4736, -1.2267, -0.5599)  -0.636
C (-1.0896, 0.5251, 1.7619)  -0.621
C (0.7872, -1.9834, 0.6516)  -0.407
C (-0.9823, 0.6765, 0.2487)  -0.428
C (0.4335, 0.7528, -1.8567)  -0.059
C (0.3295, 0.2251, -0.4194)  -0.063
H (-1.1155, 1.7217, -0.0435)  0.221
H (-0.3538, -1.6599, -0.9506)  0.352
H (1.6488, -1.5339, 1.1473)  0.191
H (-0.0466, -2.0183, 1.3682)  0.163
H (-1.7876, -0.2422, 2.0014)  0.209
H (-1.3501, 1.4499, 2.2556)  0.215
H (1.3143, 0.2883, -2.2890)  0.178
H (-0.1842, 0.0955, 2.2099)  0.205
H (1.1491, 0.6405, 0.1645)  0.180
H (1.4045, 2.4149, -1.4662)  0.461
H (-1.7706, 0.1681, -0.3063)  0.191
H (-0.4763, 0.5407, -2.4108)  0.176
H (1.0318, -3.0124, 0.3972)  0.199

## Properties
HOMO-LUMO gap: 9.7 eV
Total energy: -8932.720 eV
SMILES string: CC[C@H](CO)NC
Energy relative to the best compared isomer or geometry (same formula, charge and spin): 1.291 eV
Net charge: 0

---

# 3
DFT (the ωB97M-V functional and the def2-TZVPD basis) results for an isolated molecule of C5H13NO.

Last column: natural (NBO) charge in e.
Atoms and positions in Å:
O (1.7083, 2.0135, 2.2848)  -0.724
N (-0.6123, -1.3288, -1.3278)  -0.658
C (-0.0560, -0.0070, -1.3553)  -0.200
C (-2.0401, -1.5126, -1.1820)  -0.413
C (0.6075, 0.1549, 1.0893)  -0.441
C (1.9001, 0.9127, 1.3858)  -0.056
C (-0.2328, 0.7363, -0.0288)  -0.412
H (-2.2675, -2.2206, -0.3817)  0.188
H (-0.1670, -2.0049, -1.9213)  0.371
H (-2.5390, -0.5814, -0.9337)  0.193
H (2.6489, 0.2302, 1.8119)  0.159
H (-1.2942, 0.7646, 0.2143)  0.200
H (-2.5143, -1.8748, -2.1027)  0.181
H (0.9680, 1.7927, 2.8556)  0.459
H (0.0248, 1.7872, -0.2141)  0.210

Anchorage Headquarters Office
333 Raspberry Road
Anchorage, AK 99518

Alaska Department of Fish and Game
Doug Vincent-Lang, Commissioner

P.O. Box 115526
Juneau, AK 99811-5526

Advisory Announcement
(Released: July 16, 2022 - Expired: July 31, 2022)
CONTACT: Colton Lipka
Area Management Biologist
(907) 262-9368
Kenai River Closed to King Salmon Fishing

(Soldotna) – In order to conserve returning king salmon and increase fishing opportunities in the future, the Alaska Department of Fish and Game (ADF&G) is closing the king salmon fishery throughout the Kenai River drainage and prohibiting the use of bait and multiple hooks in the Kenai River from its mouth upstream to ADF&G markers located at the outlet of Skilak Lake. These regulatory changes are effective 12:01 a.m. Sunday, July 17 through 11:59 p.m. Sunday, July 31, 2022.

Anglers are advised this closure prohibits all sport fishing for king salmon, including catch-and-release fishing. King salmon may not be retained or possessed; king salmon caught while fishing for other species may not be removed from the water and must be released immediately. Anglers are also reminded that bait/scent and multiple hooks are prohibited on the entire Kenai River.

ADF&G manages Kenai River late-run king salmon under guidelines provided in the Kenai River Late-Run King Salmon Management Plan to ensure adequate escapement of late-run king salmon into the Kenai River system. The optimal escapement goal (OEG) for late-run king salmon is 15,000 to 30,000 king salmon 75 cm mid eye to tail fork and longer.

Through July 15, 2022, approximately 2,352 king salmon 75 cm mid eye to tail fork and longer have passed the river mile 13.7 king salmon sonar. Inseason projections estimate an escapement of approximately 11,500 large king salmon under the current level of exploitation with average run timing. Therefore, consistent with the management plan, it is warranted to close sport fishing for late-run king salmon in the Kenai River. ADF&G is also implementing restrictions and closures to the commercial and personal use fisheries.

“The 2022 late-run of king salmon abundance is significantly less than anticipated and less than what is needed to make the escapement goal. Without further restrictions the goal is not projected to be achieved,” stated Area Management Biologist Colton Lipka.

In conjunction with this restriction, Emergency Order 2-KS-1-54-22 was issued closing king salmon fishing on the Kasilof River downstream of the Sterling Highway Bridge from July 17 through July 31, 2022. Additionally, from the river mouth to the outlet of Tustumena Lake only one unbaited, single-hook, artificial lure may be used during this time. In addition, Emergency Order 2-KS-7-55-22 closing all Cook Inlet saltwaters north of the latitude of Bluff Point (59° 40.00' N. lat.) to sport fishing for king salmon, including catch-and-release from July 17 through July 31, 2022.

For additional information, please contact Colton Lipka, Area Management Biologist (907) 262-9368 or Cook Inlet Management Coordinator Matt Miller at (907) 267-2415.
